
Tuesday, April 16, 2013

proud fathers

Rose-breasted Grosbeak (Pheucticus ludovicianus)

File this under "Good Fathers" as opposed to the "Bad Dads" that I blogged about two weeks ago.

Rose-breasted grosbeaks are passing through the valley, visiting our birdfeeders. Tired from their long flight across the Gulf of Mexico, they pause to refuel on their way to their breeding grounds to the north and in the highest elevations of the Great Smokies and Cumberland Mountains of East Tennessee. 

Their name obviously comes from the red "bleeding" bib of the males. The females are streaky brown but here's the odd thing. The exception to the rule. 

As a general guideline in the bird world, if the male is a bright color and the female more subdued, then she is camouflaged to sit on the eggs and he avoids the nest not wanting to draw attention to the hidden clutch. 

Coming soon! My new book.
But oddly, according to the folks at the Cornell Lab of Ornithology, for several hours during the day, the male rose-breasted takes a turn incubating the eggs. That's proper paternity. The female incubates the rest of the day and all night. Both male and female sing quietly to each other when they exchange places on the nest. That's harmony. And even more surprisingly, perhaps proud to be a papa and risking detection by the local Cooper's hawk, the male sometimes sings his normal song at full volume on the nest. And grosbeaks are robust singers, not wispy like warblers.

Perhaps I am being a bit anthropomorphic, but such concerns are becoming passé since there are clear connections between us and all the rest. The line between human nature and animal nature is proving to be artificial, i.e. man made, a way to separate ourselves from the natural world we feel too superior to be a part of, yet pride cometh before the fall. And in this case, the fall is inevitable.

Attached: crystal structures:
┌──
Record 1
{
  "formula": "Pm2ZnIr",
  "functional": "GGA-PBE",
  "state": "optimized geometry",
  "lattice_angstrom": [[7.160, 0.000, 0.000], [0.000, 7.160, 0.000], [0.000, 0.000, 7.160]],
  "species": ["Pm", "Pm", "Pm", "Pm", "Pm", "Pm", "Pm", "Pm", "Zn", "Zn", "Zn", "Zn", "Ir", "Ir", "Ir", "Ir"],
  "frac_coords": [[0.250, 0.250, 0.250], [0.250, 0.250, 0.750], [0.250, 0.750, 0.250], [0.250, 0.750, 0.750], [0.750, 0.250, 0.250], [0.750, 0.250, 0.750], [0.750, 0.750, 0.250], [0.750, 0.750, 0.750], [0.000, 0.000, 0.000], [0.000, 0.500, 0.500], [0.500, 0.000, 0.500], [0.500, 0.500, 0.000], [0.000, 0.000, 0.500], [0.000, 0.500, 0.000], [0.500, 0.000, 0.000], [0.500, 0.500, 0.500]],
  "formation_enthalpy_0k_ev_per_atom": -0.514,
  "e_tot_ev_per_atom": -5.41
}

***

Record 2
{
  "formula": "Bi20Pt3I36",
  "functional": "GGA-PBE",
  "state": "optimized geometry",
  "lattice_angstrom": [[12.092, 0.000, 0.000], [0.779, 12.098, 0.000], [5.226, 4.927, 18.138]],
  "species": ["Bi", "Bi", "Bi", "Bi", "Bi", "Bi", "Bi", "Bi", "Bi", "Bi", "Bi", "Bi", "Bi", "Bi", "Bi", "Bi", "Bi", "Bi", "Bi", "Bi", "Pt", "Pt", "Pt", "I", "I", "I", "I", "I", "I", "I", "I", "I", "I", "I", "I", "I", "I", "I", "I", "I", "I", "I", "I", "I", "I", "I", "I", "I", "I", "I", "I", "I", "I", "I", "I", "I", "I", "I", "I"],
  "frac_coords": [[0.030, 0.317, 0.113], [0.096, 0.640, 0.059], [0.112, 0.863, 0.425], [0.214, 0.454, 0.917], [0.220, 0.681, 0.285], [0.288, 0.007, 0.226], [0.341, 0.839, 0.831], [0.351, 0.638, 0.451], [0.423, 0.963, 0.398], [0.465, 0.224, 0.747], [0.535, 0.776, 0.253], [0.577, 0.037, 0.602], [0.649, 0.362, 0.549], [0.659, 0.161, 0.169], [0.712, 0.993, 0.774], [0.780, 0.319, 0.715], [0.786, 0.546, 0.083], [0.888, 0.137, 0.575], [0.904, 0.360, 0.941], [0.970, 0.683, 0.887], [0.000, 0.500, 0.000], [0.325, 0.825, 0.338], [0.675, 0.175, 0.662], [0.029, 0.285, 0.631], [0.056, 0.086, 0.302], [0.092, 0.878, 0.931], [0.120, 0.667, 0.562], [0.130, 0.287, 0.845], [0.135, 0.453, 0.195], [0.191, 0.877, 0.141], [0.204, 0.045, 0.490], [0.221, 0.670, 0.772], [0.248, 0.456, 0.400], [0.275, 0.249, 0.036], [0.304, 0.042, 0.707], [0.363, 0.623, 0.965], [0.392, 0.419, 0.633], [0.425, 0.211, 0.263], [0.450, 0.996, 0.895], [0.459, 0.620, 0.176], [0.475, 0.783, 0.527], [0.525, 0.217, 0.473], [0.541, 0.380, 0.824], [0.550, 0.004, 0.105], [0.575, 0.789, 0.737], [0.608, 0.581, 0.367], [0.637, 0.377, 0.035], [0.696, 0.958, 0.293], [0.725, 0.751, 0.964], [0.752, 0.544, 0.600], [0.779, 0.330, 0.228], [0.796, 0.955, 0.510], [0.809, 0.123, 0.859], [0.865, 0.547, 0.805], [0.870, 0.713, 0.155], [0.880, 0.333, 0.438], [0.908, 0.122, 0.069], [0.944, 0.914, 0.698], [0.971, 0.715, 0.369]],
  "formation_enthalpy_0k_ev_per_atom": -0.655,
  "e_tot_ev_per_atom": -2.98
}

***

Record 3
{
  "formula": "Pr3Si2Ni6",
  "functional": "GGA-PBE",
  "state": "optimized geometry",
  "lattice_angstrom": [[-4.474, 4.474, 4.474], [4.474, -4.474, 4.474], [4.474, 4.474, -4.474]],
└──
End of the crystal structures:

Be that as it may, isn't the following a good description of proper fathering skills? And how many human fathers do you know that simply do much less and leave their young ones to fend for themselves.   

Not the male grosbeaks.

They help feed the young after they hatch, after which, the mated pair often have a second brood. If so, mom builds the new nest while papa tends the young from the first brood preparing them for independence singing all the while.

That's a proud papa.

And his song? It's often described as robin-like but more intense.


  1. I think the male grosbeak is taunting those male hummingbirds.

  2. We see these birds once in a while as they migrate by. Beautiful and shrill song!
